Transcribe the whole of the material further below with every line break kept.

'''
The following is a simulated PXRD pattern of Li7Tl. It was derived from the PBE geometry in Alexandria, using a wavelength of 1.5418 Å.
Peak positions follow from Bragg's law for the DFT cell and can differ from measured ones.

Main lines, in order of rising 2θ (2θ from 10° to 90°):
- 2θ = 18.09°, intensity 100
- 2θ = 20.91°, intensity 54
- 2θ = 29.75°, intensity 46
- 2θ = 35.03°, intensity 60
- 2θ = 36.65°, intensity 26
- 2θ = 46.60°, intensity 27
- 2θ = 47.89°, intensity 25
- 2θ = 56.27°, intensity 21

Structure:
```
data_Li7Tl
_chemical_formula_sum 'Li7 Tl1'
_cell_length_a 6.007
_cell_length_b 6.007
_cell_length_c 6.007
_cell_angle_alpha 60.00
_cell_angle_beta 60.00
_cell_angle_gamma 60.00
_symmetry_space_group_name_H-M 'P 1'
_symmetry_Int_Tables_number 1
_symmetry_space_group_name_Hall 'P 1'
loop_
_atom_site_label
_atom_site_type_symbol
_atom_site_fract_x
_atom_site_fract_y
_atom_site_fract_z
Li1 Li 0.000 0.000 0.000
Li2 Li 0.000 0.000 0.500
Li3 Li 0.000 0.500 0.000
Li4 Li 0.000 0.500 0.500
Li5 Li 0.500 0.000 0.000
Li6 Li 0.500 0.000 0.500
Li7 Li 0.500 0.500 0.000
Tl1 Tl 0.500 0.500 0.500
```

The following is a simulated PXRD pattern of Li2Tl. It was derived from the PBE geometry in Alexandria, using a wavelength of 1.5418 Å.
Peak positions follow from Bragg's law for the DFT cell and can differ from measured ones.

Main lines, in order of rising 2θ (2θ from 10° to 90°):
- 2θ = 22.04°, intensity 100
- 2θ = 28.36°, intensity 18
- 2θ = 36.20°, intensity 63
- 2θ = 38.67°, intensity 28
- 2θ = 44.95°, intensity 16
- 2θ = 48.64°, intensity 25
- 2θ = 54.00°, intensity 20
- 2θ = 68.38°, intensity 20

Structure:
```
data_Li2Tl
_chemical_formula_sum 'Li2 Tl1'
_cell_length_a 4.657
_cell_length_b 4.657
_cell_length_c 3.147
_cell_angle_alpha 90.00
_cell_angle_beta 90.00
_cell_angle_gamma 120.00
_symmetry_space_group_name_H-M 'P 1'
_symmetry_Int_Tables_number 1
_symmetry_space_group_name_Hall 'P 1'
loop_
_atom_site_label
_atom_site_type_symbol
_atom_site_fract_x
_atom_site_fract_y
_atom_site_fract_z
Li1 Li 0.333 0.667 0.131
Li2 Li 0.667 0.333 0.869
Tl1 Tl 0.000 0.000 0.500
```

The following is a simulated PXRD pattern of LiTl. It was derived from the PBE geometry in Alexandria, using a wavelength of 1.5418 Å.
Peak positions follow from Bragg's law for the DFT cell and can differ from measured ones.

Main lines, in order of rising 2θ (2θ from 10° to 90°):
- 2θ = 15.43°, intensity 52
- 2θ = 24.40°, intensity 58
- 2θ = 24.63°, intensity 86
- 2θ = 26.46°, intensity 100
- 2θ = 32.62°, intensity 51
- 2θ = 35.18°, intensity 57
- 2θ = 36.26°, intensity 78
- 2θ = 36.75°, intensity 94

Structure:
```
data_LiTl
_chemical_formula_sum 'Li12 Tl12'
_cell_length_a 8.073
_cell_length_b 8.073
_cell_length_c 8.185
_cell_angle_alpha 90.00
_cell_angle_beta 90.00
_cell_angle_gamma 86.20
_symmetry_space_group_name_H-M 'P 1'
_symmetry_Int_Tables_number 1
_symmetry_space_group_name_Hall 'P 1'
loop_
_atom_site_label
_atom_site_type_symbol
_atom_site_fract_x
_atom_site_fract_y
_atom_site_fract_z
Li1 Li 0.102 0.398 0.750
Li2 Li 0.158 0.158 0.000
Li3 Li 0.182 0.818 0.890
Li4 Li 0.318 0.682 0.390
Li5 Li 0.342 0.342 0.500
Li6 Li 0.398 0.102 0.250
Li7 Li 0.602 0.898 0.750
Li8 Li 0.658 0.658 0.500
Li9 Li 0.682 0.318 0.610
Li10 Li 0.818 0.182 0.110
Li11 Li 0.842 0.842 0.000
Li12 Li 0.898 0.602 0.250
Tl1 Tl 0.005 0.290 0.409
Tl2 Tl 0.088 0.912 0.234
Tl3 Tl 0.210 0.495 0.091
Tl4 Tl 0.290 0.005 0.591
Tl5 Tl 0.412 0.588 0.734
Tl6 Tl 0.495 0.210 0.909
Tl7 Tl 0.505 0.790 0.091
Tl8 Tl 0.588 0.412 0.266
Tl9 Tl 0.710 0.995 0.409
Tl10 Tl 0.790 0.505 0.909
Tl11 Tl 0.912 0.088 0.766
Tl12 Tl 0.995 0.710 0.591
```

The following is a simulated PXRD pattern of Li6Tl5. It was derived from the PBE geometry in Alexandria, using a wavelength of 1.5418 Å.
Peak positions follow from Bragg's law for the DFT cell and can differ from measured ones.

Main lines, in order of rising 2θ (2θ from 10° to 90°):
- 2θ = 25.34°, intensity 56
- 2θ = 26.45°, intensity 100
- 2θ = 36.95°, intensity 95
'''

The following is a simulated PXRD pattern of Li7Tl. It was derived from the PBE geometry in Alexandria, using a wavelength of 1.5418 Å.
Peak positions follow from Bragg's law for the DFT cell and can differ from measured ones.

Main lines, in order of rising 2θ (2θ from 10° to 90°):
- 2θ = 18.09°, intensity 100
- 2θ = 20.91°, intensity 54
- 2θ = 29.75°, intensity 46
- 2θ = 35.03°, intensity 60
- 2θ = 36.65°, intensity 26
- 2θ = 46.60°, intensity 27
- 2θ = 47.89°, intensity 25
- 2θ = 56.27°, intensity 21

Structure:
```
data_Li7Tl
_chemical_formula_sum 'Li7 Tl1'
_cell_length_a 6.007
_cell_length_b 6.007
_cell_length_c 6.007
_cell_angle_alpha 60.00
_cell_angle_beta 60.00
_cell_angle_gamma 60.00
_symmetry_space_group_name_H-M 'P 1'
_symmetry_Int_Tables_number 1
_symmetry_space_group_name_Hall 'P 1'
loop_
_atom_site_label
_atom_site_type_symbol
_atom_site_fract_x
_atom_site_fract_y
_atom_site_fract_z
Li1 Li 0.000 0.000 0.000
Li2 Li 0.000 0.000 0.500
Li3 Li 0.000 0.500 0.000
Li4 Li 0.000 0.500 0.500
Li5 Li 0.500 0.000 0.000
Li6 Li 0.500 0.000 0.500
Li7 Li 0.500 0.500 0.000
Tl1 Tl 0.500 0.500 0.500
```

The following is a simulated PXRD pattern of Li2Tl. It was derived from the PBE geometry in Alexandria, using a wavelength of 1.5418 Å.
Peak positions follow from Bragg's law for the DFT cell and can differ from measured ones.

Main lines, in order of rising 2θ (2θ from 10° to 90°):
- 2θ = 22.04°, intensity 100
- 2θ = 28.36°, intensity 18
- 2θ = 36.20°, intensity 63
- 2θ = 38.67°, intensity 28
- 2θ = 44.95°, intensity 16
- 2θ = 48.64°, intensity 25
- 2θ = 54.00°, intensity 20
- 2θ = 68.38°, intensity 20

Structure:
```
data_Li2Tl
_chemical_formula_sum 'Li2 Tl1'
_cell_length_a 4.657
_cell_length_b 4.657
_cell_length_c 3.147
_cell_angle_alpha 90.00
_cell_angle_beta 90.00
_cell_angle_gamma 120.00
_symmetry_space_group_name_H-M 'P 1'
_symmetry_Int_Tables_number 1
_symmetry_space_group_name_Hall 'P 1'
loop_
_atom_site_label
_atom_site_type_symbol
_atom_site_fract_x
_atom_site_fract_y
_atom_site_fract_z
Li1 Li 0.333 0.667 0.131
Li2 Li 0.667 0.333 0.869
Tl1 Tl 0.000 0.000 0.500
```

The following is a simulated PXRD pattern of LiTl. It was derived from the PBE geometry in Alexandria, using a wavelength of 1.5418 Å.
Peak positions follow from Bragg's law for the DFT cell and can differ from measured ones.

Main lines, in order of rising 2θ (2θ from 10° to 90°):
- 2θ = 15.43°, intensity 52
- 2θ = 24.40°, intensity 58
- 2θ = 24.63°, intensity 86
- 2θ = 26.46°, intensity 100
- 2θ = 32.62°, intensity 51
- 2θ = 35.18°, intensity 57
- 2θ = 36.26°, intensity 78
- 2θ = 36.75°, intensity 94

Structure:
```
data_LiTl
_chemical_formula_sum 'Li12 Tl12'
_cell_length_a 8.073
_cell_length_b 8.073
_cell_length_c 8.185
_cell_angle_alpha 90.00
_cell_angle_beta 90.00
_cell_angle_gamma 86.20
_symmetry_space_group_name_H-M 'P 1'
_symmetry_Int_Tables_number 1
_symmetry_space_group_name_Hall 'P 1'
loop_
_atom_site_label
_atom_site_type_symbol
_atom_site_fract_x
_atom_site_fract_y
_atom_site_fract_z
Li1 Li 0.102 0.398 0.750
Li2 Li 0.158 0.158 0.000
Li3 Li 0.182 0.818 0.890
Li4 Li 0.318 0.682 0.390
Li5 Li 0.342 0.342 0.500
Li6 Li 0.398 0.102 0.250
Li7 Li 0.602 0.898 0.750
Li8 Li 0.658 0.658 0.500
Li9 Li 0.682 0.318 0.610
Li10 Li 0.818 0.182 0.110
Li11 Li 0.842 0.842 0.000
Li12 Li 0.898 0.602 0.250
Tl1 Tl 0.005 0.290 0.409
Tl2 Tl 0.088 0.912 0.234
Tl3 Tl 0.210 0.495 0.091
Tl4 Tl 0.290 0.005 0.591
Tl5 Tl 0.412 0.588 0.734
Tl6 Tl 0.495 0.210 0.909
Tl7 Tl 0.505 0.790 0.091
Tl8 Tl 0.588 0.412 0.266
Tl9 Tl 0.710 0.995 0.409
Tl10 Tl 0.790 0.505 0.909
Tl11 Tl 0.912 0.088 0.766
Tl12 Tl 0.995 0.710 0.591
```

The following is a simulated PXRD pattern of Li6Tl5. It was derived from the PBE geometry in Alexandria, using a wavelength of 1.5418 Å.
Peak positions follow from Bragg's law for the DFT cell and can differ from measured ones.

Main lines, in order of rising 2θ (2θ from 10° to 90°):
- 2θ = 25.34°, intensity 56
- 2θ = 26.45°, intensity 100
- 2θ = 36.95°, intensity 95